-- Job --
The reader should find "0.6657 0.3343" and "0.716" in the listing further below, and duplicate these two lines and those between.

-- Material --
Calculated powder diffraction line list of SrTcWO6 for Cu Kα, from DFT lattice parameters and positions (PBE+U).

Structure:
```
SrTcWO6
1.0
4.9815 0.0000 0.0000
0.0000 4.9815 0.0000
0.0000 0.0000 9.7144
Sr Tc W O
2 2 2 12
Direct
0.0000 0.0000 0.0000
0.5000 0.5000 0.5000
0.0000 0.0000 0.3286
0.5000 0.5000 0.8286
0.0000 0.0000 0.6662
0.5000 0.5000 0.1662
0.1657 0.1657 0.4995
0.2142 0.2142 0.7953
0.2246 0.2246 0.1907
0.2754 0.7246 0.6907
0.2858 0.7142 0.2953
0.3343 0.6657 0.9995
0.6657 0.3343 0.9995
0.7142 0.2858 0.2953
0.7246 0.2754 0.6907
0.7754 0.7754 0.1907
0.7858 0.7858 0.7953
0.8343 0.8343 0.4995
```

Main lines, sorted by position (10° ≤ 2θ ≤ 90°):
2theta  I_rel  (hkl)
20.03  20.8  1 0 1
25.28  100.0  1 1 0
32.99  80.7  1 0 3
36.06  23.2  2 0 0
49.67  64.6  2 1 3
62.90  18.7  3 0 3

* * * * *

Structure and computed X-ray diffraction stick pattern of Y4MgW4O20 (a crystal structure in Alexandria, relaxed with GGA+U; Cu Ka).

Cell and atoms:
a = 5.337 Å, b = 6.515 Å, c = 12.780 Å
α = 91.40°, β = 90.35°, γ = 109.28°
Space group P1 (No. 1)
Symmetry-distinct sites (fractional):
Y  0.000  0.000  0.000 [1 per cell]
Y  0.165  0.921  0.495 [1 per cell]
Y  0.477  0.497  0.387 [1 per cell]
Y  0.691  0.423  0.888 [1 per cell]
Mg  0.043  0.155  0.739 [1 per cell]
W  0.296  0.557  0.075 [1 per cell]
W  0.387  0.855  0.805 [1 per cell]
W  0.806  0.060  0.299 [1 per cell]
W  0.868  0.405  0.577 [1 per cell]
O  0.083  0.738  0.884 [1 per cell]
O  0.139  0.173  0.364 [1 per cell]
O  0.177  0.555  0.501 [1 per cell]
O  0.186  0.790  0.094 [1 per cell]
O  0.285  0.912  0.676 [1 per cell]
O  0.301  0.149  0.850 [1 per cell]
O  0.357  0.499  0.208 [1 per cell]
O  0.409  0.276  0.029 [1 per cell]
O  0.471  0.609  0.782 [1 per cell]
O  0.487  0.877  0.366 [1 per cell]
O  0.552  0.239  0.513 [1 per cell]
O  0.600  0.694  0.995 [1 per cell]
O  0.716  0.305  0.308 [1 per cell]
O  0.738  0.041  0.846 [1 per cell]
O  0.776  0.656  0.555 [1 per cell]
O  0.827  0.013  0.161 [1 per cell]
O  0.854  0.782  0.354 [1 per cell]
O  0.879  0.406  0.724 [1 per cell]
O  0.985  0.365  0.009 [1 per cell]
O  0.995  0.153  0.585 [1 per cell]

Principal peaks in the range 10 to 80 degrees two-theta, low angle first:
4.441 Å, rel. 100; 4.369 Å, rel. 38; 3.386 Å, rel. 40; 3.294 Å, rel. 37; 3.276 Å, rel. 60; 3.252 Å, rel. 44; 3.228 Å, rel. 47; 3.194 Å, rel. 44; 2.827 Å, rel. 43; 2.784 Å, rel. 41

-- Written answer --
0.6657 0.3343 0.9995
0.7142 0.2858 0.2953
0.7246 0.2754 0.6907
0.7754 0.7754 0.1907
0.7858 0.7858 0.7953
0.8343 0.8343 0.4995
```

Main lines, sorted by position (10° ≤ 2θ ≤ 90°):
2theta  I_rel  (hkl)
20.03  20.8  1 0 1
25.28  100.0  1 1 0
32.99  80.7  1 0 3
36.06  23.2  2 0 0
49.67  64.6  2 1 3
62.90  18.7  3 0 3

* * * * *

Structure and computed X-ray diffraction stick pattern of Y4MgW4O20 (a crystal structure in Alexandria, relaxed with GGA+U; Cu Ka).

Cell and atoms:
a = 5.337 Å, b = 6.515 Å, c = 12.780 Å
α = 91.40°, β = 90.35°, γ = 109.28°
Space group P1 (No. 1)
Symmetry-distinct sites (fractional):
Y  0.000  0.000  0.000 [1 per cell]
Y  0.165  0.921  0.495 [1 per cell]
Y  0.477  0.497  0.387 [1 per cell]
Y  0.691  0.423  0.888 [1 per cell]
Mg  0.043  0.155  0.739 [1 per cell]
W  0.296  0.557  0.075 [1 per cell]
W  0.387  0.855  0.805 [1 per cell]
W  0.806  0.060  0.299 [1 per cell]
W  0.868  0.405  0.577 [1 per cell]
O  0.083  0.738  0.884 [1 per cell]
O  0.139  0.173  0.364 [1 per cell]
O  0.177  0.555  0.501 [1 per cell]
O  0.186  0.790  0.094 [1 per cell]
O  0.285  0.912  0.676 [1 per cell]
O  0.301  0.149  0.850 [1 per cell]
O  0.357  0.499  0.208 [1 per cell]
O  0.409  0.276  0.029 [1 per cell]
O  0.471  0.609  0.782 [1 per cell]
O  0.487  0.877  0.366 [1 per cell]
O  0.552  0.239  0.513 [1 per cell]
O  0.600  0.694  0.995 [1 per cell]
O  0.716  0.305  0.308 [1 per cell]